One of the most important director and officer litigation risks is the possibility of a shareholder derivative lawsuit. In the following guest post Sam Vardy and Carey Lynn take an overview of derivative suits and discuss some of the important D&O coverage issues the cases present. Sam is a lawyer and Divisional Director, and Carey is a lawyer and Managing Director, in the Financial Lines division of Howden. A version of this article was published previously on the Howden website. I would like to thank Sam and Carey for allowing me to publish their article as a guest post on this site. I welcome guest post submissions from responsible authors on topics of interest to this site’s readers. Please contact me directly if you would like to submit a guest post. Here is Sam and Carey’s article.
In an era of shareholder activism, Derivative Claims are on the increase. Whereas such suits may previously have been considered the preserve of the US and likely to settle on the basis of a change of conduct, more recent years have seen a well-publicised action in the English Courts (more on that, below) and hundred million dollar plus settlements over the Atlantic[i]. In this article, we consider the protection a D&O policy can provide to directors and a company facing a derivative suit, much of which is often contained outside of the main insuring clauses.
What is a Derivative Claim?
A derivative claim is a mechanism by which shareholders can bring an action against company directors for alleged actual or potential breach of duty[ii]. Whilst most publicity focuses on public company claims, it is a weapon equally available to shareholders in private companies.
In a securities suit[iii], the claim is made directly by shareholders against directors, usually follows a drop in share price, and will also usually be made against the company. In a derivative action, by contrast, the claim is brought on behalf of the company against directors, as it is the company that has suffered the harm. Shareholders bring the litigation (which is “derivative” of the company’s claim) where they consider the company should commence proceedings but has not.
An Upwards Trend
With, in some respects, a limited barrier to entry for commencing derivative suits, they have become a popular mechanism for shareholders. In particular, activists seeking change or institutional investors pursuing corporate social responsibility agendas have increasingly turned to derivative actions. The fact that only a small shareholding is required makes derivative suits attractive for those seeking to hold large corporations and their directors to account.
In that context, the subject matter of derivative actions is unsurprising. As ever, the US has been a hotbed of new theories of litigation. There have been several actions against directors seeking to improve diversity on boards, although none have succeeded to date[iv]. Environmental based suits have started to emerge, and equally inevitably, we are starting to see these themes in UK cases. Importantly, good old dissatisfaction with the management of the company and return on investment still provide a steady stream of cases.
Focus on the environment – damned if you do…
Climate change and environmental litigation has multiple forms – some more expected than others. Client Earth and others pursuing a climate change agenda is perhaps the more intuitive, and “greenwashing” type claims against companies that have set targets for improvement and (allegedly) failed to meet those aspirations[v] are also common.
On the other side of the fence, many US states have adopted anti-ESG legislation[vi] that promotes financial returns over environmental concerns. Directors seeking to balance competing interests and agendas of their different shareholders may soon find themselves facing claims if alleged to have sacrificed financial gain for environmental policies.
The most notable English case is Client Earth’s attempt to pursue directors of Shell for alleged breaches of duty relating to climate change policy. Client Earth established a minority interest in Shell in order to attempt to bring the claim. The High Court halted progress of the claim at an early stage, but Client Earth has appealed, with the outcome eagerly anticipated.
In the Depths of the D&O Cover
From initial shareholder dissatisfaction to final judgment or settlement, the derivative claims process consists of a number of (potentially expensive) phases. So how can a D&O policy assist?
The most obvious source of cost is directors defending claims, and paying any judgments against or settlements agreed by defendant directors. The very essence of the D&O policy is to provide a defence to claims, and so coverage for these will be found in the main insuring clauses – don’t forget insurer consent!
There are, however, many more ways in which costs can be spent on derivative claims, and coverage for these is more likely found in the weeds of the extensions. The names of the extensions can vary, but typical labels and what they cover is as follows:
1. Derivative Demand Costs – before commencing a Derivative Claim, shareholders may petition the company to start a claim against directors directly. The Company will need to review that demand and likely take legal advice on the merit of acceding to shareholders’ requests. A Special Litigation Committee (“SLC”) of independent individuals may be formed to assess the demand. Legal costs are unavoidable.
2. Director investigation costs – on the other side of the demand, the company or SLC may interview directors to help with their assessment of the demand’s merits. Directors will require legal advice and representation at these interviews.
3. Nominal Defendant Costs – although the claim is on behalf of the Company, the Company itself may be named as a nominal defendant, requiring some defence cost spend.
4. Costs of Shareholder – the Court may order that the Company pay the legal costs of the shareholder in bringing the claim[vii]. These are not “Defence Costs” and so require coverage from an extension.
5. Books and records costs – whilst there is (as yet) no equivalent procedure in the UK, shareholders in Delaware companies are using rights to obtain copies of company records as a way of identifying or reinforcing claims. An extension available in the market for some time now covers the costs of complying with such requests, and we wait to see whether equivalent procedures will be established and utilised in other jurisdictions.
Plainly, the lesson here is to review your policy and ensure you have what you need.
Are Limits Adequate?
Having all the policy bells and whistles in place is of limited use if the amount of cover is severely restricted financially. So, what are the considerations here?
Director defence, judgment and settlement costs will be covered via the main insuring clause, and so not subject to any sub-limits. That said, a derivative claim will almost certainly be Side A or non-indemnifiable loss in D&O terms for any damages, as the directors cannot have the benefit of a company indemnity for a claim, effectively, by the company. If insurance limits run out in the event of a large damages award, directors will be personally liable. That emphasises the need to ensure limits meet needs, including any specific cover for Side A/non-indemnifiable loss only.
The additional extensions in play may be subject to a sub-limit. How can you ensure they meet your needs? Work with your legal department to consider the potential costs for each phase, and with your broker to ensure you are pushing the sub-limits in the appropriate areas.
[i] See US$700m plus settlement, Tesla-settlement.pdf (dandodiary.com), US$167m settlement (Paramount Gets $167 Million Settlement In CBS Shareholder Lawsuit – Deadline) and US$124m settlement (Summary Notice to Stockholders of Cardinal Health, Inc. of Proposed Settlement of Stockholder Derivative Action, Settlement Hearing, and Right to Appear – Jul 22, 2022)
[ii] Under the Companies Act 2006 – section 260-269 in the UK.
[iii] Under Financial Services and Markets Act 2000 – section 90 in the UK.
Between two parts of the text: records of crystals >
/*
Record 1
The following is a DFT calculation (PBE-GGA) of crystalline AlGa4Ag5 at its relaxed geometry.

Unit cell a=5.175 b=6.590 c=6.590 alpha=81.13 beta=66.88 gamma=66.88
Atoms (fractional coordinates):
Al: 0.190 0.000 0.000
Ga: 0.404 0.382 0.721
Ga: 0.785 0.721 0.618
Ga: 0.124 0.279 0.382
Ga: 0.506 0.618 0.279
Ag: 0.811 0.390 0.902
Ag: 0.201 0.902 0.610
Ag: 0.713 0.098 0.390
Ag: 0.103 0.610 0.098
Ag: 0.672 0.000 0.000

* ΔE_f: 0.085 eV per atom

=====

Record 2
The following is a DFT calculation (PBE-GGA) of crystalline HfHgGe3 at its relaxed geometry.

Unit cell a=5.220 b=5.220 c=5.220 alpha=90.00 beta=90.00 gamma=90.00
Atoms (fractional coordinates):
Ge: 0.000 0.500 0.000
Ge: 0.000 0.000 0.500
Ge: 0.500 0.000 0.000
Hf: 0.000 0.000 0.000
Hg: 0.500 0.500 0.500

* ΔE_f: 0.422 eV per atom
* energy above the most stable polymorph in this dataset: 0.0 kJ/mol of atoms

=====

Record 3
The following is a DFT calculation (PBE-GGA) of crystalline MnNi2Br at its relaxed geometry.

Unit cell a=3.174 b=3.174 c=6.413 alpha=90.00 beta=90.00 gamma=90.00
Atoms (fractional coordinates):
Br: 0.000 0.000 0.528
Mn: 0.500 0.500 0.791
Ni: 0.000 0.000 0.019
Ni: 0.500 0.500 0.163

* ΔE_f (raw): 0.297 eV per atom
* energy above the most stable polymorph in this dataset: 7.4 kJ/mol of atoms

=====

Record 4
The following is a DFT calculation (PBE-GGA) of crystalline TmMg2In2 at its relaxed geometry.

Unit cell a=5.085 b=5.085 c=12.020 alpha=90.00 beta=90.00 gamma=120.00
Atoms (fractional coordinates):
Tm: 0.000 0.000 0.250
Tm: 0.000 0.000 0.750
Mg: 0.333 0.667 0.606
Mg: 0.667 0.333 0.106
Mg: 0.667 0.333 0.394
Mg: 0.333 0.667 0.894
In: 0.667 0.333 0.750
In: 0.000 0.000 0.000
In: 0.000 0.000 0.500
In: 0.333 0.667 0.250

* ΔE_f: -0.062 eV per atom
* energy above the most stable polymorph in this dataset: 9.4 kJ/mol of atoms

=====

Record 5
The following is a DFT calculation (PBE-GGA) of crystalline PmNiAsN at its relaxed geometry.

Unit cell a=3.825 b=3.825 c=8.436 alpha=90.00 beta=90.00 gamma=90.00
Atoms (fractional coordinates):
Pm: 0.000 0.500 0.843
Pm: 0.500 0.000 0.157
Ni: 0.000 0.000 0.500
Ni: 0.500 0.500 0.500
As: 0.000 0.500 0.347
As: 0.500 0.000 0.653
N: 0.500 0.000 0.879
N: 0.000 0.500 0.121

* ΔE_f (raw): -0.826 eV per atom

=====

Record 6
The following is a DFT calculation (PBE-GGA) of crystalline AlCrCl2 at its relaxed geometry.

Unit cell a=3.097 b=3.316 c=8.623 alpha=89.74 beta=90.00 gamma=90.00
Atoms (fractional coordinates):
Cr: 0.000 0.376 0.532
Al: 0.500 0.874 0.714
Cl: 0.000 0.872 0.917
Cl: 0.500 0.378 0.337

* ΔE_f (raw): -0.555 eV per atom
* energy above the most stable polymorph in this dataset: 0.0 kJ/mol of atoms

=====

Record 7
The following is a DFT calculation (PBE-GGA) of crystalline InNi2AgMo at its relaxed geometry.

Unit cell a=4.505 b=5.245 c=4.505 alpha=90.00 beta=90.00 gamma=90.00
Atoms (fractional coordinates):
Ni: 0.000 0.000 0.500
Ni: 0.500 0.000 0.000
Mo: 0.000 0.000 0.000
Ag: 0.000 0.500 0.000
In: 0.500 0.500 0.500
*/
[iv] See, for example, dismissal of claims against the boards of Cisco Cisco-order.pdf (dandodiary.com) and Qualcomm Qualcomm-opinion.pdf (dandodiary.com)
[v] See, for example, Enviva Inc. – Complaint (00522532-2).DOCX (climatecasechart.com) – a Securities Class action alleging environmental based statements were misleading.
[vi] See, for example, Republican Candidate Ron DeSantis’s statement on proposed Florida legislation Governor Ron DeSantis Announces Initiatives to Protect Floridians from ESG Financial Fraud (flgov.com)
[vii] See 19.19 of the Civil Procedure Rules applying to the English Court.